Molekuláris biofizikai kutatócsoport
Research activities:
General interest: structure, function and dynamics of membrane proteins;
biological energy transduction (bioenergetics)
Focus: how a special redox protein, the reaction center (RC) proteins of photosynthesis converts the energy of the sun into other forms of energy with high efficiency; this process is the basis and initial point of the terrestrial life;
Connected research subjects: light-induced structural changes, electron and proton transfer processes, electrostatics and quinone function/herbicide action in photosynthetic purple bacteria; how to gain physiological data and how to estimate the photosynthetic capacity of intact cells; protection against high light intensity and heavy metal pollution;
Central methods: laser light-induced absorption and fluorescence changes of photosynthetic bacteria
Some selected recent results:
- One of the first site-directed mutations engineered in RCs of photosynthetic bacteria
E. Takahashi, P. Maróti, C.A. Wraight: Site-directed mutagenesis of Rb. sphaeroides reaction center: the role of tyrosin L222. In "Current Research in Photosynthesis", M. Baltscheffsky (ed.) Vol. I. , Kluwer Academic Publishers, Dordrecht, pp. 169-172, (1990).
D. Onidas, G. Sipka, E. Asztalos, P. Maróti : Mutational Control of Bioenergetics of Bacterial Reaction Center Probed by Delayed Fluorescence, Biochim. Biophys. Acta Bioenergetics, 1827 1191-1199 (2013).
- The protein dynamics limits the kinetics of light-induced proton binding to RC
P. Maróti and C.A. Wraight: Kinetics of H+-ion binding by the P+QA– state of the bacterial photosynthetic reaction centers: Rate limitation within the protein. Biophysical Journal 73 367-381 (1997)
- Construction of novel devices to measure
Next to the page, the page also holds calculated crystals =
-- begin --
[1]
Crystalline ScFe at its relaxed geometry, computed with GGA-PBE.

Computed properties:
Energy of formation in kJ/mol of atoms: 13.0
Total DFT energy (no corrections) in eV per cell: -58.103
ρ in g/cm³: 5.06
Spin magnetization in μB per formula unit: 1.4

abc: 5.0968 5.0968 5.0968
angles: 90.00 90.00 90.00
Site moments in Bohr magnetons follow the coordinates.
Element x y z (fractional)
Sc  0.0935  0.0935  0.0935  -0.36
Sc  0.4065  0.9065  0.5935  -0.36
Sc  0.9065  0.5935  0.4065  -0.36
Sc  0.5935  0.4065  0.9065  -0.36
Fe  0.3986  0.3986  0.3986  1.91
Fe  0.1014  0.6014  0.8986  1.91
Fe  0.6014  0.8986  0.1014  1.91
Fe  0.8986  0.1014  0.6014  1.91

[2]
Crystalline KBaW2 at its relaxed geometry, computed with GGA-PBE.

Computed properties:
Energy of formation in kJ/mol of atoms: 163.7
Total DFT energy (no corrections) in eV per cell: -22.138
ρ in g/cm³: 9.60
Distance to the lowest polymorph of the same formula in eV per atom: 0.802
Spin magnetization in μB per formula unit: 0.0

abc: 6.6001 6.6001 6.6001
angles: 148.09 141.53 50.82
Element x y z (fractional)
Ba  0.7500  0.2500  0.5000
K  0.2500  0.7500  0.5000
W  0.0003  0.0003  0.0000
W  0.4997  0.4997  0.0000

[3]
Crystalline CaHgRh2 at its relaxed geometry, computed with GGA-PBE.

Computed properties:
Energy of formation in kJ/mol of atoms: -6.0
Total DFT energy (no corrections) in eV per cell: -17.253
ρ in g/cm³: 9.71
Spin magnetization in μB per formula unit: 0.0

abc: 4.5080 3.1667 5.5787
angles: 73.56 90.00 90.00
Element x y z (fractional)
Ca  0.0000  0.4580  0.4602
Rh  0.0000  0.1875  0.9992
Rh  0.5000  0.0647  0.2459
Hg  0.5000  0.7899  0.7947

[4]
Crystalline Th3TlPd at its relaxed geometry, computed with GGA-PBE.

Computed properties:
Energy of formation in kJ/mol of atoms: -22.9
Total DFT energy (no corrections) in eV per cell: -62.011
ρ in g/cm³: 11.57
Spin magnetization in μB per formula unit: 0.0

abc: 4.3066 9.8056 7.0140
angles: 90.00 90.00 102.64
Element x y z (fractional)
Th  0.0988  0.6987  0.5053
Th  0.9012  0.3013  0.4947
Th  0.0988  0.6987  0.9947
Th  0.9012  0.3013  0.0053
Th  0.2739  0.0481  0.7500
Th  0.7261  0.9519  0.2500
Tl  0.4964  0.4933  0.7500
Tl  0.5036  0.5067  0.2500
Pd  0.6698  0.8407  0.7500
Pd  0.3302  0.1593  0.2500

[5]
Crystalline LiLaCl2 at its relaxed geometry, computed with GGA-PBE.

Computed properties:
E_form (uncorrected) in eV/atom: -1.526
Total DFT energy (no corrections) in eV per cell: -16.639
ρ in g/cm³: 3.31
Distance to the lowest polymorph of the same formula in eV per atom: 0.144
Spin magnetization in μB per formula unit: 0.0

abc: 8.6076 8.6076 8.6076
angles: 26.09 26.09 26.09
Element x y z (fractional)
Cl  0.8884  0.8884  0.8884
Cl  0.1116  0.1116  0.1116
Li  0.5000  0.5000  0.5000
La  0.0000  0.0000  0.0000

[6]
Crystalline TbTm3Th2Bi6 at its relaxed geometry, computed with GGA-PBE.

Computed properties:
Energy of formation in kJ/mol of atoms: -69.9
Total DFT energy (no corrections) in eV per cell: -64.865
ρ in g/cm³: 10.24
-- stop --
- delayed fluorescence of bacterial RC
K. Turzó, G. Laczkó, Z. Filus, P. Maróti: Quinone-dependent delayed fluorescence from reaction center of photosynthetic bacteria. Biophys. J. 79 (1): 14-25 (2000).
- fluorescence induction and relaxation of bacteria
P. Kocsis, E. Asztalos, Z. Gingl, P. Maróti: Kinetic bacteriochlorophyll fluorometer. Photosynt Res 105, 73-82 (2010)
- The heavy metal pollution of water can be detected by detection of the fluorescence induction and relaxation of bacteriochlorophyll of photosynthetic bacteria and the method can be used for biomonitoring and biomediation of the polluted aqueous habitat.
E. Asztalos, F. Italiano, F. Milano, P. Maróti, M. Trotta: Early detection of mercury contamination by fluorescence induction of photosynthetic bacteria. Photochem. Photobiol. Sci., 9, 1218-1223 (2010).
E. Asztalos, G. Sipka, M. Kis, M. Trotta, P. Maróti: The reaction center is the sensitive target of the mercury(II) ion in intact cells of photosynthetic bacteria. Phototosynthesis Research, Vol. 112, Number 2, pp 129-140 (2012).
Publications (2009-2013)
Anne Pilotelle-Bunner, Patricia Beaunier, Julia Tandori, Péter Maróti, Ronald J. Clarke & Pierre Sebban: The local electric field within phospholipid membranes modulates the charge transfer reactions in reaction centres. Biochim. Biophys. Acta 1787, 1444-1450 (2009).
IF: 3.835
Hélène Cheap, Sophie Bernad, Valérie Derrien, László Gerencsér, Júlia Tandori, Pedro de Oliveira, Deborah K. Hanson, Péter Maróti and Pierre Sebban: M234Glu is a component of the proton sponge in the reaction center from photosynthetic bacteria. Biochim. Biophys. Acta 1787, 1505-1515 (2009).
IF.: 3.835
Emese Asztalos, Péter Maróti: Export or recombination of charges in reaction centers in intact cells of photosynthetic bacteria. Biochim. Biophys. Acta 1787, 1444-1450 (2009).
IF.: 3.835
Asztalos Emese és Maróti Péter: Fotoszintetizáló baktériumok szinkrontenyésztése: molekuláris- és membránátrendezések. Magyar Biofiziksai Társaság (MBFT) XXIII. kongresszusa, Pécs, 2009. aug 23-26., 2009
Maróti Péter, Asztalos Emese és Laczkó Gábor: Fehérjéken belüli elektrontranszfer. MBFT XXIII. kongresszusa, Pécs, 2009. aug 23-26., 2009
Péter Kocsis, Emese Asztalos, Zoltán Gingl, Péter Maróti: Kinetic bacteriochlorophyll fluorometer. Photosyntesis Res 105, 73-82 (2010)
IF.: 3.139
E. Asztalos, F. Italiano, F. Milano, P. Maróti, M. Trotta: Early detection ofmercury contamination by fluorescence induction of photosynthetic bacteria. Photochem. Photobiol. Sci., 9, 1218-1223 (2010)
IF: 2,208
Emese Asztalos, Mariann Kis and Péter Maróti: Aging photosynthetic bacteria monitored by absorption and fluorescence changes. Acta Biologica Szegediensis vol. 54, 2, pp 149-154, (2010)
Péter Maróti and Emese Asztalos: Induction and relaxation of bacteriochlorophyll fluorescence: Electron transfer through reaction center in intact cells of photosynthetic bacteria. Abstract of the 15th International Congress of Photosynthesis, Beijing, China, 2010
Asztalos Emese, Kis Mariann és Maróti Péter: Oxigén-függő membránátalakulások Rhodobacter sphaeroides fotoszintetizáló baktériumokban In” Biophysics 40” (Ed. Vincze János), 209-218, Budapest, 2011
Misplaced materials data:
~~~
a.
Compound: Ta3TiRe
Source: the Alexandria database
Functional: PBE-GGA
Structure: relaxed

Lattice parameters (Å, degrees): 5.3368 7.8003 8.8911 90.00 90.00 90.00
With the nearest neighbours (Å) after each atom.
Fractional coordinates of all 20 atoms:
1 Ta 0.2672 0.0141 0.7500  2 Re 2.55, 2 Ta 2.80, 2 Ti 2.80-2.85
2 Ti 0.7935 0.8442 0.7500  5 Ta 2.80-3.11, 2 Re 2.98, 2 Ti 3.05
3 Ta 0.7328 0.9859 0.2500  2 Re 2.55, 2 Ta 2.80, 2 Ti 2.80-2.85
4 Ta 0.9246 0.1671 0.9462  2 Re 2.66-2.67, 4 Ta 2.80-2.97
5 Ti 0.2935 0.6558 0.7500  5 Ta 2.80-3.11, 2 Re 2.98, 2 Ti 3.05
6 Ta 0.0754 0.8329 0.4462  2 Re 2.66-2.67, 4 Ta 2.80-2.97
7 Ta 0.5754 0.6671 0.0538  2 Re 2.66-2.67, 4 Ta 2.80-2.97
8 Ta 0.0754 0.8329 0.0538  2 Re 2.66-2.67, 4 Ta 2.80-2.97
9 Ta 0.4246 0.3329 0.9462  2 Re 2.66-2.67, 4 Ta 2.80-2.97
10 Re 0.5000 0.0000 0.5000  6 Ta 2.55-2.67
11 Ta 0.2328 0.5141 0.2500  2 Re 2.55, 2 Ta 2.80, 2 Ti 2.80-2.85
12 Ti 0.7065 0.3442 0.2500  5 Ta 2.80-3.11, 2 Re 2.98, 2 Ti 3.05
13 Re 0.5000 0.0000 0.0000  6 Ta 2.55-2.67
14 Ta 0.7672 0.4859 0.7500  2 Re 2.55, 2 Ta 2.80, 2 Ti 2.80-2.85
15 Re 0.0000 0.5000 0.5000  6 Ta 2.55-2.67
16 Ta 0.9246 0.1671 0.5538  2 Re 2.66-2.67, 4 Ta 2.80-2.97
17 Ti 0.2065 0.1558 0.2500  5 Ta 2.80-3.11, 2 Re 2.98, 2 Ti 3.05
18 Ta 0.4246 0.3329 0.5538  2 Re 2.66-2.67, 4 Ta 2.80-2.97
19 Re 0.0000 0.5000 0.0000  6 Ta 2.55-2.67
20 Ta 0.5754 0.6671 0.4462  2 Re 2.66-2.67, 4 Ta 2.80-2.97

## Properties
Size of the total moment (Bohr magnetons per cell): 0.00
Calculated volume (Å³/f.u.): 92.5
Space-group type: Pnma



b.
Compound: Ta3TiRe
Source: the Alexandria database
Functional: PBE-GGA
Structure: relaxed

Lattice parameters (Å, degrees): 4.8364 4.8364 4.8364 90.00 90.00 90.00
With the nearest neighbours (Å) after each atom.
Fractional coordinates of all 5 atoms:
1 Re 0.0000 0.0000 0.0000  6 Ta 2.42
2 Ta 0.5000 0.0000 0.0000  2 Re 2.42
3 Ta 0.0000 0.5000 0.0000  2 Re 2.42
4 Ta 0.0000 0.0000 0.5000  2 Re 2.42
5 Ti 0.5000 0.5000 0.5000  12 Ta 3.42

## Properties
Size of the total moment (Bohr magnetons per cell): 0.01
Calculated volume (Å³/f.u.): 113.1
Space-group type: Pm-3m



Last place for stability: b



a.
Compound: TaTl2Re
Source: the Alexandria database
Functional: PBE-GGA
Structure: relaxed

Lattice parameters (Å, degrees): 9.6429 9.6429 9.6429 18.44 18.44 18.44
With the nearest neighbours (Å) after each atom.
Fractional coordinates of all 4 atoms:
1 Re 0.2500 0.2500 0.2500  6 Tl 2.89, 6 Re 3.09
2 Ta 0.7500 0.7500 0.7500  6 Tl 3.04, 6 Ta 3.09
3 Tl 0.9969 0.9969 0.9969  3 Re 2.89, 3 Ta 3.04, 6 Tl 3.09
4 Tl 0.5031 0.5031 0.5031  3 Re 2.89, 3 Ta 3.04, 6 Tl 3.09

## Properties
Size of the total moment (Bohr magnetons per cell): 0.00
Calculated volume (Å³/f.u.): 78.4
Space-group type: R-3m



b.
Compound: TaTl2Re
Source: the Alexandria database
Functional: PBE-GGA
Structure: relaxed

Lattice parameters (Å, degrees): 3.0533 3.0533 10.4407 90.00 90.00 113.02
With the nearest neighbours (Å) after each atom.
Fractional coordinates of all 4 atoms:
~~~
Maróti Péter, Asztalos Emese: A fotoszintetikus egységek közötti kapcsolat kvantitatív mértékének megállapítása fotoszintetizáló baktériumokban. In ” Biophysics 40” (Ed. Vincze János), 171-182, Budapest, 2011
P Maróti, E. Asztalos, M. Kis, Z. Gingl and M. Trotta: Biomonitoring the environment by photosynthetic bacteria 14th Congress of the European Society for Photobiology ESP 2011 – Geneva, Switzerland, September 1-6, 2011:
P. Maróti and E. Asztalos: Relaxation of bacteriochlorophyll fluorescence in intact cells of photosynthetic bacteria 8th EBSA European Biophysics Congress, Budapest, August 23-27, 2011: European Biophysics Journal with Biophysics letters, Vol. 40. pp. 178
E. Asztalos, Z. Gingl and P. Maróti: Field instrument for determination of the photosynthetic capacity of intact photosynthetic bacteria 8th EBSA European Biophysics Congress, Budapest, August 23-27, 2011:
European Biophysics Journal with Biophysics letters, Vol. 40. pp. 174
M. Kis, E. Asztalos, P. Maróti: Ontogenesis of photosynthetic bacteria tacked by absorption and fluorescence kinetics 8th EBSA European Biophysics Congress, Budapest, August 23-27, 2011: European Biophysics Journal with Biophysics letters, Vol. 40. pp. 177
_The page is interrupted by calculated crystals_
/*
The following is a GGA-PBE calculation of SnGe2Au8 after structural relaxation, from the Alexandria database.

Energy relative to the elements ... 1.1 eV per formula unit
Total DFT energy (no corrections) ... -3.4876 eV/atom
Total moment ... 0.00 μB per formula unit
Crystal system ... monoclinic

Cell and atoms, written as CIF:
```
data_SnGe2Au8
_chemical_formula_sum 'Sn2 Ge4 Au16'
_cell_length_a 4.975
_cell_length_b 21.298
_cell_length_c 4.853
_cell_angle_alpha 90.00
_cell_angle_beta 119.55
_cell_angle_gamma 90.00
_space_group_name_H-M_alt 'C 1 2/m 1'
_space_group_IT_number 12
loop_
_space_group_symop_operation_xyz
'x,y,z'
'-x,-y,-z'
'-x,y,-z'
'x,-y,z'
'x+1/2,y+1/2,z'
'-x+1/2,-y+1/2,-z'
'-x+1/2,y+1/2,-z'
'x+1/2,-y+1/2,z'
loop_
_atom_site_label
_atom_site_type_symbol
_atom_site_fract_x
_atom_site_fract_y
_atom_site_fract_z
Sn1 Sn 0.000 0.000 0.000
Ge1 Ge 0.000 0.267 0.500
Au1 Au 0.000 0.334 0.000
Au2 Au 0.164 0.124 0.332
Au3 Au 0.165 0.500 0.329
```

* * * * *

# CaGdHg (PBE-GGA, optimized geometry)
# energy	-5.65	eV/atom
# distance to the lowest polymorph of the same formula	0.132	eV/atom
# E_form	-0.1848	eV/atom
data_CaGdHg
_chemical_formula_sum 'Ca1 Gd1 Hg1'
_cell_length_a 5.2212
_cell_length_b 5.2212
_cell_length_c 3.8426
_cell_angle_alpha 90.00
_cell_angle_beta 90.00
_cell_angle_gamma 120.00
_symmetry_space_group_name_H-M 'P 3 m 1'
_symmetry_Int_Tables_number 156
loop_
_symmetry_equiv_pos_as_xyz
'x,y,z'
'-y,x-y,z'
'-x+y,-x,z'
'-y,-x,z'
'-x+y,y,z'
'x,x-y,z'
loop_
_atom_site_label
_atom_site_type_symbol
_atom_site_fract_x
_atom_site_fract_y
_atom_site_fract_z
Ca1 Ca 0.0000 0.0000 0.0000
Gd1 Gd 0.6667 0.3333 0.4648
Hg1 Hg 0.3333 0.6667 0.7064

* * * * *

Run a
Ce2DyTe (PBE, relaxed); crystal system = tetragonal; volume = 105.5 Å³/cell; total magnetic moment = 0.28 μB/atom
1.0
5.067 0.000 0.000
0.000 4.563 0.000
0.000 0.000 4.563
Ce Dy Te
2 1 1
direct
0.000 0.000 0.500
0.000 0.500 0.000
0.500 0.500 0.500
0.500 0.000 0.000

***

Run b
Ce2DyTe (PBE, relaxed); crystal system = cubic; volume = 114.3 Å³/cell; total magnetic moment = 0.53 μB/atom
1.0
-4.658 0.895 2.680
-2.176 -3.939 3.070
0.024 0.450 5.429
Te Dy Ce
1 1 2
direct
0.000 0.000 0.000
0.500 0.500 0.500
0.250 0.250 0.250
0.750 0.750 0.750

***

Referenced to the most stable arrangement, the calculated values in kJ/mol of atoms are run a 0.0; run b 28.4.

***

Run a
CeDyTmTh (PBE, relaxed); crystal system = cubic; volume = 125.8 Å³/cell; total magnetic moment = 0.60 μB/atom
1.0
5.625 0.000 0.000
2.812 4.871 0.000
2.812 1.624 4.593
Dy Ce Th Tm
1 1 1 1
direct
0.000 0.000 0.000
0.250 0.250 0.250
0.500 0.500 0.500
0.750 0.750 0.750

***

Run b
CeDyTmTh (PBE, relaxed); crystal system = trigonal; volume = 122.6 Å³/cell; total magnetic moment = 0.07 μB/atom
1.0
3.535 -0.001 0.000
-1.767 3.061 -0.001
-1.772 -1.019 11.327
Th Ce Tm Dy
1 1 1 1
direct
0.134 0.964 0.114
0.303 0.550 0.869
0.471 0.134 0.619
0.969 0.382 0.367

***
*/
Francesco Milano, Massimo Trotta, Márta Dorogi, Béla Fischer, Livia Giotta, Angela Agostiano, Péter Maróti, László Kálmán & László Nagy: Light induced transmembrane proton gradient in artifical lipid vesicles reconstituted with photosynthetic reaction centers. Journal of Bioenergetics and Biomembranes, Vol. 44, 373-384 (2012).
IF.: 2,634
Emese Asztalos, Gábor Sipka, Mariann Kis, Massimo Trotta & Péter Maróti: The reaction center is the sensitive target of the mercury(II) ion in intact cells of photosynthetic bacteria. Phtotosynthesis Research, Vol. 112, Number 2, pp 129-140 (2012)
IF: 3,139
Péter Maróti, Emese Asztalos: Calculation of Connectivity of Photosynthetic Units In Intact Cells of Rhodobacter sphaeroides. Research for Food, Fuel and Future—15th International Conference on Photosynthesis, (ed: Congming Lu) 27-31, 2012
Emese Asztalos, Mariann Kis, Péter Maróti: Oxygen-dependent production and arrangements of the photosynthetic pigments in intact cells of Rhodobacter sphaeroides Research for Food, Fuel and Future—15th International Conference on Photosynthesis (ed. Congming Lu),32-36, 2012
Maróti P and Trotta M. Artifical Photosynthetic Systems. CRC Handbook of Organic Photochemistry and Photobiology, Third Edition, Vol.1-2, 1,694 Pages (Edited by Axel Griesbeck, University of Cologne, Germany, Michael Ölgemöller, James Cook University, Townsville, Queensland, Australia, Francesco Ghetti, CRC Instituto Biofisica, Pisa, Italy) Chapter 55, Volume II, pp 1289-1324, 2012, CRC Press, ISBN 978-1-4398-9936-6.
Maróti Péter: Biomechanika. PhD. Kurzusok fizikából (Szerk.: Hevesi Imre) VII. Fejezet, JGYTF nyomda, Szeged, 2012
P. Maróti, E. Asztalos, G. Sipka: Fluorescence Assay for Photosynthetic Capacity of Bacteria. Biophys J 104(2): 545a. (2013)
IF: 4,945
D. Onidas, G. Sipka, E. Asztalos, P. Maróti: Mutational control of bioenergetics of bacterial reaction center probed by delayed fluorescence. Biochim Biophys Acta, Bioenergetics, 1827 1191-1199 (2013).
Maróti P. Lasers in Biophysics. Angol nyelvű egyetemi elektronikus jegyzet. TÁMOP-4.1.2.A/1-11/1-2011-0013 (“Kimenet orientált képzésfejlesztés a Dél-Alföldi Régió szolgáltató egyetemén” című projekt)